To do:
It remains to work out how many lines below have the word "Cl" in them; a number is enough.

Input:
~~~
The following is a DFT calculation (the ωB97M-V functional and the def2-TZVPD basis) of an isolated molecule of C12H9PS at a distorted geometry.

Last columns: bonded neighbours and bond lengths (Å).
Element x y z (Å)
1 C 0.66 1.08 -0.90  C2 1.381, C10 1.389, P22 1.872
2 C 1.12 2.26 -0.34  C1 1.381, H11 1.068, C18 1.371
3 C -3.66 -0.26 1.21  S14 1.774, H15 1.092, C21 1.401
4 C -0.97 -0.55 -2.55  H6 1.044, C17 1.352, P22 1.856
5 H 0.88 -1.09 -0.80  C10 1.108
6 H -0.34 -0.87 -3.32  C4 1.044
7 C 2.61 1.12 1.10  C13 1.390, H16 1.015, C18 1.363
8 C -2.44 -0.71 -0.70  C17 1.490, C19 1.376, C21 1.413
9 H -3.67 -2.19 0.10  C21 1.030
10 C 1.25 -0.10 -0.46  C1 1.389, H5 1.108, C13 1.401
11 H 0.74 3.16 -0.75  C2 1.068
12 H 2.40 -1.05 1.17  C13 1.141
13 C 2.03 -0.07 0.70  C7 1.390, C10 1.401, H12 1.141
14 S -2.87 1.31 0.97  C3 1.774, C19 1.894
15 H -4.29 -0.47 2.08  C3 1.092
16 H 3.19 0.99 1.93  C7 1.015
17 C -1.85 -1.36 -1.91  C4 1.352, C8 1.490, H23 1.044
18 C 2.19 2.28 0.52  C2 1.371, C7 1.363, H20 1.014
19 C -2.01 0.58 -0.55  C8 1.376, S14 1.894, P22 1.826
20 H 2.32 3.16 1.01  C18 1.014
21 C -3.30 -1.24 0.29  C3 1.401, C8 1.413, H9 1.030
22 P -0.92 1.18 -1.89  C1 1.872, C4 1.856, C19 1.826
23 H -1.87 -2.39 -2.01  C17 1.044

Its SMILES is c1ccc(-p2ccc3ccsc32)cc1. The value obtained for the orbital gap is 0.32166 hartree. Its charge is 0. As for the HOMO energy: -8.4 eV. The energy above the lowest of the compared OMol25 structures with the same formula, charge and spin comes out at 10.8 kJ/mol. The total energy is -1202.1308 a.u. Its multiplicity is 1.

Charges per atom according to Löwdin partitioning, unit e: -0.386 -0.128 -0.403 -0.265 0.109 0.046 -0.085 -0.377 0.080 -0.089 0.090 0.127 -0.072 0.906 0.061 0.072 -0.098 -0.083 -0.568 0.076 -0.125 1.026 0.086

The following is a DFT calculation (the ωB97M-V functional and the def2-TZVPD basis) of an isolated molecule of C12HCl7S at a distorted geometry.

Last columns: bonded neighbours and bond lengths (Å).
Element x y z (Å)
1 C -2.97 1.73 0.78  Cl4 1.764, C11 1.450, C18 1.441
2 C -0.71 1.12 1.51  C6 1.358, H9 1.061, C18 1.401
3 C 1.46 -1.72 -1.95  C12 1.413, Cl14 1.771, C19 1.420
4 Cl -4.42 2.66 1.16  C1 1.764
5 C 1.96 -0.32 0.42  Cl7 1.725, C8 1.419, C10 1.355
6 C -0.40 0.54 0.32  C2 1.358, C10 1.456, C21 1.368
7 Cl 2.38 0.75 1.70  C5 1.725
8 C 2.92 -1.32 0.08  C5 1.419, Cl15 1.706, C19 1.465
9 H 0.04 1.14 2.26  C2 1.061
10 C 0.76 -0.20 -0.18  C5 1.355, C6 1.456, C12 1.338
11 C -2.70 1.06 -0.48  C1 1.450, Cl17 1.809, C21 1.422
12 C 0.55 -0.81 -1.35  C3 1.413, C10 1.338, S20 1.797
13 Cl -2.30 2.20 3.48  C18 1.786
14 Cl 1.04 -2.85 -3.25  C3 1.771
15 Cl 4.35 -1.56 0.99  C8 1.706
16 Cl 3.85 -3.23 -1.69  C19 1.825
17 Cl -4.02 1.10 -1.72  C11 1.809
18 C -1.97 1.63 1.82  C1 1.441, C2 1.401, Cl13 1.786
19 C 2.64 -1.95 -1.21  C3 1.420, C8 1.465, Cl16 1.825
20 S -1.07 -0.47 -2.06  C12 1.797, C21 1.784
21 C -1.40 0.50 -0.61  C6 1.368, C11 1.422, S20 1.784

Its SMILES is Clc1cc2c(sc3c(Cl)c(Cl)c(Cl)c(Cl)c32)c(Cl)c1Cl. The value obtained for the orbital gap is 0.30799 hartree. Its charge is 0. As for the HOMO energy: -8.9 eV. The total energy is -4077.4161 a.u. Its multiplicity is 1.

Charges per atom according to Löwdin partitioning, unit e: -0.632 -0.078 -0.621 0.640 -0.583 -0.200 0.770 -0.692 0.051 -0.256 -0.580 -0.451 0.629 0.657 0.703 0.585 0.617 -0.600 -0.563 1.055 -0.451

=====

[1]
Density functional theory data (ωB97M-V/def2-TZVPD) for C29H23IrN4OPS as an isolated structure in a non-equilibrium geometry.

```
60
Properties=species:S:1:pos:R:3
Ir -1.43474 -0.04634 -1.00254
N -3.09984 -0.75504 2.66040
C -2.51023 0.41785 3.12708
C -2.50314 0.97911 4.39867
C -1.81788 2.16669 4.53645
C -1.17654 2.77170 3.44119
C -1.18407 2.20518 2.18401
C -1.85317 0.99031 2.03670
N -2.07018 0.15174 0.92809
C -2.80587 -0.86964 1.37036
C -3.10247 -1.93307 0.42598
C -3.92932 -3.00381 0.43874
S -3.80597 -3.86047 -1.03769
C -2.67479 -2.76175 -1.61335
N -2.38860 -1.79568 -0.76147
H -3.64520 -1.40239 3.21092
~~~

Reply:
8